After Salicet's lifetime the focus of interest in surgery changes from
Italy to France, and what is still more complimentary to William, it is
through a favorite disciple of his that the change takes place. This was
Lanfranchi, or Lanfranco, sometimes spoken of as Alanfrancus, who
practised as physician and surgeon in Milan until banished from there by
Matteo Visconti about 1290. He then went to Lyons, where in the course
of his practice he attracted so much attention that he was offered the
opportunity to teach surgery in Paris. He attracted what Gurlt calls an
almost incredible number of scholars to his lessons in Paris, and by
hundreds they accompanied him to the bedside of his patients and
attended his operations. The dean of the medical faculty, Jean de
Passavant, urged him to write a text-book of surgery, not only for the
benefit of his students at Paris but for the sake of the prestige which
this would confer on the medical school. Deans still urge the same
reasons for writing. Lanfranc completed his surgery, called Chirurgia
Magna, in 1296, and dedicated it to Philippe le Bel, the then reigning
French King. Ten years later he died, but in the meantime he had
transferred Italian prestige in surgery from Italy to France and laid
the foundations in Paris of a thoroughly scientific as well as a
practical surgery, though this department of the medical school had been
in a sadly backward state when he came.
In the second chapter of this text-book, the first containing the
definition of surgery and general introduction, Lanfranc describes the
qualities that in his opinion a surgeon should possess. He says, It is
necessary that a surgeon should have a temperate and moderate
disposition. That he should have well-formed hands, long slender
fingers, a strong body, not inclined to tremble and with all his members
trained to the capable fulfilment of the wishes of his mind. He should
be of deep intelligence and of a simple, humble, brave, but not
audacious disposition. He should be well grounded in natural science,
and should know not only medicine but every part of philosophy; should
know logic well, so as to be able to understand what is written, to talk
properly, and to support what he has to say by good reasons. He
suggests that it would be well for the surgeon to have spent some time
teaching grammar and dialectics and rhetoric, especially if he is to
teach others in surgery, for this practice will add greatly to his
teaching power. Some of his expressions might well be repeated to young
surgeons in the modern time. The surgeon should not love difficult
cases and should not allow himself to be tempted to undertake those that
are desperate. He should help the poor as far as he can, but he should
not hesitate to ask for good fees from the rich.
Many generations since Lanfranc's time have used the word nerves for
tendons. Lanfranc, however, made no such mistake. He says that the
wounds of nerves, since the nerve is an instrument of sense and motion,
are, on account of the greater sensitiveness which these structures
possess, likely to involve much pain. Wounds along the length of the
nerves are less dangerous than those across them. When a nerve is
completely divided by a cross wound Lanfranc is of the opinion, though
Theodoric and some others are opposed to it, that the nerve ends should
be stitched together. He says that this suture insures the
redintegration of the nerve much better. After this operation the
restoration of the usefulness of the member is more complete and
His description of the treatment of the bite of a rabid dog is
interesting. A large cupping glass should be applied over the wound so
as to draw out as much blood as possible. After this the wound should be
dilated and thoroughly cauterized to its depths with a hot iron. It
should then be covered with various substances that were supposed to
draw, in order as far as possible to remove the poison. His description
of how one may recognize a rabid animal is rather striking in the light
of our present knowledge, for he seems to have realized that the main
diagnostic element is a change in the disposition of the animal, but
above all a definite tendency to lack playfulness. Lanfranc had seen a
number of cases of true rabies, and describes and suggests treatment for
them, though evidently without very much confidence in the success of
the treatment.
The treatment of snake bites and the bites of other poisonous animals
was supposed to follow the principles laid down for the bite of a mad
dog, especially as regards the encouragement of free bleeding and the
use of the cautery.
Lanfranc has many other expressions that one is tempted to quote,
because they show a thinking surgeon of the old time, anticipating many
supposedly modern ideas and conclusions. He is a particular favorite of
Gurlt's, who has more than twenty-five large octavo, closely printed
pages with regard to him. There is scarcely any development in our
modern surgery that Lanfranc has not at least a hint of, certainly
nothing in the surgery of a generation ago that does not find a mention
Records of molecules from another source follow >
____________
# C41H64BCrIN8O2S

C41H64BCrIN8O2S as an isolated structure (ωB97M-V/def2-TZVPD, the Open Molecules 2025 dataset).

Values from the calculation:
expectation value of S² = 3.78
multiplicity = 4
E_HOMO (alpha / beta) = -8.732 / -8.730 eV
electronic energy = -107606.32441 eV
Kohn-Sham gap (alpha / beta) = 4.96 / 4.84 eV
molar mass = 922.80 g/mol
E_LUMO (alpha / beta) = -3.77 / -3.89 eV
net charge = +1

Geometry as XYZ:
```
119
C41H64BCrIN8O2S (ωB97M-V/def2-TZVPD)
Cr 0.33 -0.47 0.42
C 0.23 -2.43 -2.30
C -1.16 -2.97 -2.00
C -1.18 -4.49 -2.13
C -1.80 -2.51 -0.72
C -2.98 -3.02 -0.18
C -3.31 -2.20 0.89
C -4.43 -2.44 1.86
C -3.87 -2.68 3.26
C -5.55 -1.39 1.88
N -2.37 -1.24 0.97
N -1.42 -1.45 0.01
B -2.25 0.09 1.82
N -1.12 -0.13 2.84
N 0.11 -0.47 2.38
C 0.91 -0.67 3.44
C 0.17 -0.47 4.59
C -1.11 -0.12 4.18
C -2.27 0.27 5.05
C -2.45 -0.74 6.19
C -2.04 1.68 5.61
C 2.37 -1.01 3.39
C 3.19 0.14 3.99
C 2.64 -2.33 4.12
N -1.90 1.24 0.86
N -0.74 1.20 0.11
C -0.73 2.28 -0.68
C -1.85 3.04 -0.41
C -2.56 2.38 0.57
C -3.86 2.85 1.15
C -5.03 2.00 0.66
C -3.83 3.04 2.67
C 0.26 2.65 -1.75
C 1.11 1.52 -2.33
C 1.10 3.85 -1.32
H 1.01 -3.02 -1.82
H 0.34 -1.38 -2.01
H 0.41 -2.45 -3.37
H -1.82 -2.55 -2.78
H -0.65 -4.95 -1.29
H -0.69 -4.80 -3.05
H -2.19 -4.89 -2.14
H -3.55 -3.86 -0.52
H -4.88 -3.37 1.51
H -3.36 -1.79 3.63
H -3.16 -3.51 3.27
H -4.68 -2.92 3.96
H -5.22 -0.45 2.31
H -6.37 -1.77 2.50
H -5.94 -1.20 0.88
H -3.28 0.29 2.36
H 0.52 -0.53 5.60
H -3.17 0.27 4.44
H -1.60 -0.70 6.87
H -2.54 -1.76 5.82
H -3.34 -0.49 6.76
H -1.11 1.72 6.17
H -2.86 1.94 6.28
H -1.97 2.42 4.82
H 2.67 -1.13 2.36
H 3.01 0.21 5.07
H 2.90 1.10 3.56
H 4.25 -0.03 3.84
H 2.39 -2.25 5.17
H 3.70 -2.59 4.04
H 2.05 -3.15 3.70
H -2.12 3.98 -0.87
H -3.98 3.84 0.72
H -4.88 0.94 0.89
H -5.16 2.09 -0.42
H -5.96 2.31 1.14
H -3.82 2.09 3.21
H -4.73 3.58 2.98
H -2.95 3.61 2.97
H -0.39 2.99 -2.57
H 0.60 0.56 -2.29
H 2.08 1.42 -1.83
H 1.32 1.71 -3.38
H 1.65 3.65 -0.41
H 0.47 4.72 -1.12
H 1.80 4.12 -2.11
O 7.01 0.27 -0.86
C 6.21 1.41 -0.64
C 4.83 0.98 -0.24
C 3.95 1.87 0.34
C 2.65 1.47 0.64
N 2.25 0.22 0.41
C 3.14 -0.69 -0.05
C 4.42 -0.34 -0.42
C 2.67 -2.10 0.06
C 3.48 -3.20 -0.12
C 2.98 -4.46 0.19
C 3.87 -5.68 0.05
O 4.88 -5.51 -0.92
C 1.68 -4.56 0.68
C 0.92 -3.42 0.80
N 1.40 -2.22 0.48
H 7.91 0.54 -1.03
H 6.12 2.02 -1.55
H 6.63 2.06 0.14
H 4.24 2.89 0.57
H 1.96 2.17 1.12
H 5.12 -1.07 -0.79
H 4.50 -3.10 -0.46
H 3.26 -6.57 -0.13
H 4.38 -5.83 1.01
H 4.50 -5.63 -1.79
H 1.26 -5.52 0.95
H -0.11 -3.45 1.15
C -3.66 -0.15 -3.65
S -1.99 0.35 -3.19
C -1.18 0.08 -4.78
H -3.67 -1.19 -3.99
H -4.05 0.49 -4.43
H -4.29 -0.06 -2.77
H -1.60 0.73 -5.54
H -1.27 -0.96 -5.09
H -0.12 0.32 -4.66
I 0.46 3.21 2.89
```

=====

i) The following is a quantum chemistry calculation of a cluster of 2 separate species, C3H9NO3 in total, from OMol25.

Last column: Löwdin charge in e.
Positions of all 16 atoms, in Å:
1 C -0.318 -0.699 0.519  -0.2902
2 C 0.321 -0.228 -0.754  -0.0609
3 C -0.558 0.970 -1.159  -0.4835
4 O -0.096 2.031 -0.165  0.0040
____________
in his book. On most subjects he has practical observations from his own
experience to add to what was in surgical literature before his time. He
quotes altogether more than a score of writers on surgery who had
preceded him and evidently was thoroughly familiar with general surgical
literature. There is scarcely an important surgical topic on which Gurlt
does not find some interesting and personal remarks made by Lanfranc.
All that we can do here is refer those who are interested in Lanfranc to
his own works or Gurlt.